== To do ==
Please work out how many lines further down have the word "lengths" in them; a number is enough.
== Data ==
____________
A crystal of LiTa4Mo relaxed with PBEsol, computed with meta-GGA SCAN.

Structure (POSCAR):
```
LiTa4Mo
1.0
5.363 0.000 0.000
2.681 4.644 0.000
2.681 1.548 4.379
Li Mo Ta
1 1 4
Cartesian
8.044 4.644 3.284
0.000 0.000 0.000
4.005 2.312 1.635
5.363 3.096 3.852
6.721 2.312 1.635
5.363 4.664 1.635
```

Computed properties:
ΔE_f: 0.613 eV per atom
E_tot: -49.988 eV/atom

A crystal of Ta2CdPb relaxed with PBEsol, computed with meta-GGA SCAN.

Structure (POSCAR):
```
Ta2CdPb
1.0
3.588 0.000 0.000
0.000 4.626 0.000
0.000 0.000 4.691
Pb Cd Ta
1 1 2
Cartesian
0.000 2.313 2.346
1.794 0.000 2.346
0.000 0.000 0.000
1.794 2.313 0.000
```

Computed properties:
ΔE_f: 0.447 eV per atom
E_tot: -59.393 eV/atom

A crystal of ScIn2Ru relaxed with PBEsol, computed with meta-GGA SCAN.

Structure (POSCAR):
```
ScIn2Ru
1.0
-2.149 0.886 -4.081
-1.659 -3.543 -2.598
-4.634 -0.647 -0.403
In Ru Sc
2 1 1
Cartesian
0.000 0.000 0.000
-6.332 -2.478 -5.311
-4.221 -1.652 -3.541
-2.111 -0.826 -1.770
```

Computed properties:
ΔE_f: -0.167 eV per atom
E_tot: -29.127 eV/atom

A crystal of Dy3Y relaxed with PBEsol, computed with meta-GGA SCAN.

Structure (POSCAR):
```
Dy3Y
1.0
5.553 0.000 0.000
0.000 7.094 0.000
0.000 -3.547 6.144
Y Dy
2 6
Cartesian
4.165 0.000 4.096
1.388 3.547 2.048
1.388 1.780 5.124
1.388 0.000 2.041
1.388 -1.780 5.124
4.165 1.767 1.020
4.165 3.547 4.103
4.165 5.327 1.020
```

Computed properties:
ΔE_f: 0.014 eV per atom
E_tot: -42.794 eV/atom

A crystal of BeCr2Ir relaxed with PBEsol, computed with meta-GGA SCAN.

Structure (POSCAR):
```
BeCr2Ir
1.0
2.830 0.000 0.000
0.000 3.759 0.000
-1.415 -1.879 4.137
Cr Ir Be
2 1 1
Cartesian
1.415 1.879 2.038
0.000 0.000 2.099
1.415 0.000 0.000
0.000 1.879 0.000
```

Computed properties:
ΔE_f: -0.341 eV per atom
E_tot: -28.396 eV/atom

A crystal of MgInSi2 relaxed with PBEsol, computed with meta-GGA SCAN.

Structure (POSCAR):
```
MgInSi2
1.0
-2.064 2.055 -2.769
-3.229 -2.935 0.228
0.796 2.713 4.337
In Mg Si
1 1 2
Cartesian
-1.614 -1.468 0.114
-1.032 1.028 -1.384
-3.571 0.696 0.262
-0.926 1.137 1.534
```

Computed properties:
Uncorrected formation energy: 0.382 eV/atom
E_tot: -14.216 eV/atom

A crystal of TlAgAs2 relaxed with PBEsol, computed with meta-GGA SCAN.

Structure (POSCAR):
```
TlAgAs2
1.0
3.696 0.000 0.000
0.000 4.053 0.000
-1.848 -2.027 5.974
Tl As Ag
1 2 1
Cartesian
1.848 2.027 0.628
1.848 2.027 5.021
0.000 2.027 3.187
1.848 0.000 3.112
```

Computed properties:
ΔE_f: 0.176 eV per atom
E_tot: -35.850 eV/atom

A crystal of CaCrMo2 relaxed with PBEsol, computed with meta-GGA SCAN.

Structure (POSCAR):
```
CaCrMo2
1.0
2.979 0.000 -0.010
0.000 3.581 0.000
-0.855 0.000 6.860
Cr Mo Ca
1 2 1
Cartesian
1.062 1.790 3.425
2.172 0.000 4.570
-0.048 0.000 2.280
1.489 1.790 -0.005
```

Computed properties:
ΔE_f: 0.625 eV per atom
E_tot: -23.829 eV/atom

Number 3 is which compound?
ScIn2Ru

----------

MgBe3Al | PBE-GGA | relaxed

## Properties
The calculation puts the density of states at the Fermi level at 1.67 states/eV/cell. The space group is No. 221. The value obtained for the calculated volume is 17.50 Å³ per atom. The value obtained for the calculated formation energy is 141.2 kJ per mole of atoms. The energy above the most stable polymorph in this dataset comes out at 510 meV per atom.

Cell lengths 4.439, 4.439, 4.439 Å; angles 90.00, 90.00, 90.00 degrees
Sites, in units of the cell vectors:
Mg (0.000, 0.000, 0.000)
Be (0.000, 0.000, 0.500)
Be (0.000, 0.500, 0.000)
Be (0.500, 0.000, 0.000)
Al (0.500, 0.500, 0.500)

=====

Mg2BeAl | PBE-GGA | relaxed

## Properties
The calculation puts the density of states at the Fermi level at 1.34 states/eV/cell. The space group is No. 123. The value obtained for the calculated volume is 17.27 Å³ per atom. The value obtained for the calculated formation energy is 23.0 kJ per mole of atoms. The energy above the most stable polymorph in this dataset comes out at 166 meV per atom.

Cell lengths 4.134, 4.134, 4.042 Å; angles 90.00, 90.00, 90.00 degrees
____________
== Response ==
2